**Material:**
____________
1 | RbHfSc2, relaxed, DFT GGA-PBE; space group = Fm-3m (225)
1.0
0.000 3.835 3.835
3.835 0.000 3.835
3.835 3.835 0.000
Sc Hf Rb
2 1 1
Direct
0.250 0.250 0.250
0.750 0.750 0.750
0.500 0.500 0.500
0.000 0.000 0.000

***

2 | RbHfSc2, relaxed, DFT GGA-PBE; space group = I4_1/amd (141)
1.0
5.764 0.000 0.000
0.000 5.764 0.000
2.882 2.882 10.350
Sc Hf Rb
4 2 2
Direct
0.875 0.125 0.250
0.875 0.625 0.250
0.375 0.125 0.750
0.875 0.125 0.750
0.000 0.000 0.000
0.750 0.250 0.500
0.500 0.500 0.000
0.250 0.750 0.500

***

Of them, 2 has the lowest stability.

***

1 | RbHfSi2, relaxed, DFT GGA-PBE; space group = I4_1/amd (141)
1.0
-4.808 1.451 2.829
1.706 -3.151 4.515
2.468 6.046 6.965
Si Hf Rb
4 2 2
Direct
0.875 0.125 0.250
0.875 0.625 0.250
0.375 0.125 0.750
0.875 0.125 0.750
0.000 0.000 0.000
0.750 0.250 0.500
0.500 0.500 0.000
0.250 0.750 0.500

***

2 | RbHfSi2, relaxed, DFT GGA-PBE; space group = Fm-3m (225)
1.0
0.000 3.543 3.543
3.543 0.000 3.543
3.543 3.543 0.000
Si Hf Rb
2 1 1
Direct
0.250 0.250 0.250
0.750 0.750 0.750
0.500 0.500 0.500
0.000 0.000 0.000

***

Of them, 2 has the lowest stability.

***

1 | RbHf3Si, relaxed, DFT GGA-PBE; space group = Pm-3m (221)
1.0
-3.654 2.208 2.536
-2.961 -0.339 -3.972
-1.593 -4.435 1.566
Si Hf Rb
1 3 1
Direct
0.500 0.500 0.500
0.000 0.500 0.000
0.000 0.000 0.500
0.500 0.000 0.000
0.000 0.000 0.000

***

2 | RbHf3Si, relaxed, DFT GGA-PBE; space group = Pm-3m (221)
1.0
-3.672 1.970 -3.017
-1.050 -4.706 -1.794
-3.447 -0.665 3.761
Si Hf Rb
1 3 1
Direct
0.000 0.000 0.000
0.000 0.500 0.000
0.000 0.000 0.500
0.500 0.000 0.000
0.500 0.500 0.500

***

Of them, 1 has the lowest stability.

***

1 | RbHfSi3, relaxed, DFT GGA-PBE; space group = Pm-3m (221)
1.0
-3.097 2.702 -3.143
-4.125 -2.385 2.016
-0.396 3.713 3.582
Si Hf Rb
3 1 1
Direct
0.000 0.500 0.000
0.000 0.000 0.500
0.500 0.000 0.000
0.000 0.000 0.000
0.500 0.500 0.500

***

2 | RbHfSi3, relaxed, DFT GGA-PBE; space group = Pm-3m (221)
1.0
-2.780 -3.074 -2.813
-1.087 -2.730 4.057
-4.023 2.862 0.847
Si Hf Rb
3 1 1
Direct
0.000 0.500 0.000
0.000 0.000 0.500
0.500 0.000 0.000
0.500 0.500 0.500
0.000 0.000 0.000

***

Of them, 2 has the lowest stability.

----------

Entry 1:
Density functional theory data (PBE) for an optimized crystal structure of Th2NpGe3Pt4.

Space-group type: P-4m2, No. 115

Cell: 4.338 4.338 11.052 Å, 90.00 90.00 90.00°
Site moments in Bohr magnetons follow the coordinates.
Atoms (fractional coordinates):
Th (0.500, 0.000, 0.224)  0.05
Th (0.000, 0.500, 0.776)  0.05
Np (0.500, 0.500, 0.500)  3.58
Ge (0.000, 0.000, 0.500)  -0.05
Ge (0.500, 0.000, 0.878)  -0.01
Ge (0.000, 0.500, 0.122)  -0.01
Pt (0.500, 0.500, 0.000)  -0.02
Pt (0.000, 0.000, 0.000)  -0.03
Pt (0.500, 0.000, 0.657)  -0.04
Pt (0.000, 0.500, 0.343)  -0.04

Entry 2:
Density functional theory data (PBE) for an optimized crystal structure of Ce6SnBi5.

Space-group type: C2/m, No. 12

Cell: 7.940 7.939 7.940 Å, 60.00 80.40 70.52°
Site moments in Bohr magnetons follow the coordinates.
Atoms (fractional coordinates):
Ce (0.753, 0.082, 0.329)  0.74
Ce (0.247, 0.589, 0.329)  0.74
Ce (0.249, 0.246, 0.000)  0.76
Ce (0.751, 0.754, 0.000)  0.76
Ce (0.753, 0.411, 0.671)  0.74
Ce (0.247, 0.918, 0.671)  0.74
Sn (0.000, 0.000, 0.000)  -0.04
Bi (0.500, 0.169, 0.662)  -0.04
Bi (0.000, 0.334, 0.332)  -0.04
Bi (0.500, 0.500, 0.000)  -0.04
Bi (0.000, 0.666, 0.668)  -0.04
Bi (0.500, 0.831, 0.338)  -0.04

Entry 3:
Density functional theory data (PBE) for an optimized crystal structure of PmY5HoTm2.

Space-group type: Cmc2_1, No. 36

Cell: 5.612 10.472 10.441 Å, 90.00 90.00 105.54°
Atoms (fractional coordinates):
Pm (0.804, 0.608, 0.515)
Pm (0.196, 0.392, 0.015)
____________
**Exercise:**
It remains to copy the lines further above up to the one that holds "-0.03", that line included.
**Here it is:**
1 | RbHfSc2, relaxed, DFT GGA-PBE; space group = Fm-3m (225)
1.0
0.000 3.835 3.835
3.835 0.000 3.835
3.835 3.835 0.000
Sc Hf Rb
2 1 1
Direct
0.250 0.250 0.250
0.750 0.750 0.750
0.500 0.500 0.500
0.000 0.000 0.000

***

2 | RbHfSc2, relaxed, DFT GGA-PBE; space group = I4_1/amd (141)
1.0
5.764 0.000 0.000
0.000 5.764 0.000
2.882 2.882 10.350
Sc Hf Rb
4 2 2
Direct
0.875 0.125 0.250
0.875 0.625 0.250
0.375 0.125 0.750
0.875 0.125 0.750
0.000 0.000 0.000
0.750 0.250 0.500
0.500 0.500 0.000
0.250 0.750 0.500

***

Of them, 2 has the lowest stability.

***

1 | RbHfSi2, relaxed, DFT GGA-PBE; space group = I4_1/amd (141)
1.0
-4.808 1.451 2.829
1.706 -3.151 4.515
2.468 6.046 6.965
Si Hf Rb
4 2 2
Direct
0.875 0.125 0.250
0.875 0.625 0.250
0.375 0.125 0.750
0.875 0.125 0.750
0.000 0.000 0.000
0.750 0.250 0.500
0.500 0.500 0.000
0.250 0.750 0.500

***

2 | RbHfSi2, relaxed, DFT GGA-PBE; space group = Fm-3m (225)
1.0
0.000 3.543 3.543
3.543 0.000 3.543
3.543 3.543 0.000
Si Hf Rb
2 1 1
Direct
0.250 0.250 0.250
0.750 0.750 0.750
0.500 0.500 0.500
0.000 0.000 0.000

***

Of them, 2 has the lowest stability.

***

1 | RbHf3Si, relaxed, DFT GGA-PBE; space group = Pm-3m (221)
1.0
-3.654 2.208 2.536
-2.961 -0.339 -3.972
-1.593 -4.435 1.566
Si Hf Rb
1 3 1
Direct
0.500 0.500 0.500
0.000 0.500 0.000
0.000 0.000 0.500
0.500 0.000 0.000
0.000 0.000 0.000

***

2 | RbHf3Si, relaxed, DFT GGA-PBE; space group = Pm-3m (221)
1.0
-3.672 1.970 -3.017
-1.050 -4.706 -1.794
-3.447 -0.665 3.761
Si Hf Rb
1 3 1
Direct
0.000 0.000 0.000
0.000 0.500 0.000
0.000 0.000 0.500
0.500 0.000 0.000
0.500 0.500 0.500

***

Of them, 1 has the lowest stability.

***

1 | RbHfSi3, relaxed, DFT GGA-PBE; space group = Pm-3m (221)
1.0
-3.097 2.702 -3.143
-4.125 -2.385 2.016
-0.396 3.713 3.582
Si Hf Rb
3 1 1
Direct
0.000 0.500 0.000
0.000 0.000 0.500
0.500 0.000 0.000
0.000 0.000 0.000
0.500 0.500 0.500

***

2 | RbHfSi3, relaxed, DFT GGA-PBE; space group = Pm-3m (221)
1.0
-2.780 -3.074 -2.813
-1.087 -2.730 4.057
-4.023 2.862 0.847
Si Hf Rb
3 1 1
Direct
0.000 0.500 0.000
0.000 0.000 0.500
0.500 0.000 0.000
0.500 0.500 0.500
0.000 0.000 0.000

***

Of them, 2 has the lowest stability.

----------

Entry 1:
Density functional theory data (PBE) for an optimized crystal structure of Th2NpGe3Pt4.

Space-group type: P-4m2, No. 115

Cell: 4.338 4.338 11.052 Å, 90.00 90.00 90.00°
Site moments in Bohr magnetons follow the coordinates.
Atoms (fractional coordinates):
Th (0.500, 0.000, 0.224)  0.05
Th (0.000, 0.500, 0.776)  0.05
Np (0.500, 0.500, 0.500)  3.58
Ge (0.000, 0.000, 0.500)  -0.05
Ge (0.500, 0.000, 0.878)  -0.01
Ge (0.000, 0.500, 0.122)  -0.01
Pt (0.500, 0.500, 0.000)  -0.02
Pt (0.000, 0.000, 0.000)  -0.03